Please quote the whole of the material underneath exactly.

********
Below is a geometry-optimized CrNO structure, with properties calculated at the GGA+U level.

E_tot ... -6.972 eV per atom
Excess energy over the best structure of this formula in the dataset ... 87.2 kJ per mole of atoms
N(E_F) ... 0.69 states/eV/f.u.

abc: 3.2305 3.2305 9.6495
angles: 90.00 90.00 120.00
Space group R3m (No. 160, hexagonal axes)
Symmetry-distinct sites (fractional):
Cr1 0.0000 0.0000 0.0000 x3
N1 0.0000 0.0000 0.7107 x3
O1 0.0000 0.0000 0.2162 x3

----------

A plane-wave DFT calculation with PBE was carried out for ZrPt2Au after structural relaxation.

Structure (POSCAR):
```
ZrPt2Au
1.0
2.9836 0.0000 0.0000
0.0000 2.9836 0.0000
0.0000 0.0000 7.9347
Zr Pt Au
1 2 1
direct
0.0000 0.0000 0.0000 Zr
********

Below is a geometry-optimized CrNO structure, with properties calculated at the GGA+U level.

E_tot ... -6.972 eV per atom
Excess energy over the best structure of this formula in the dataset ... 87.2 kJ per mole of atoms
N(E_F) ... 0.69 states/eV/f.u.

abc: 3.2305 3.2305 9.6495
angles: 90.00 90.00 120.00
Space group R3m (No. 160, hexagonal axes)
Symmetry-distinct sites (fractional):
Cr1 0.0000 0.0000 0.0000 x3
N1 0.0000 0.0000 0.7107 x3
O1 0.0000 0.0000 0.2162 x3

----------

A plane-wave DFT calculation with PBE was carried out for ZrPt2Au after structural relaxation.

Structure (POSCAR):
```
ZrPt2Au
1.0
2.9836 0.0000 0.0000
0.0000 2.9836 0.0000
0.0000 0.0000 7.9347
Zr Pt Au
1 2 1
direct
0.0000 0.0000 0.0000 Zr